How has your Mystic experience been?

zyndrix Posts: 0 Arc User
edited March 2012 in Mystic
I really enjoy the mystic class (kick A summons, heals,dd) but i rarely ever see people asking for them in squads like fc, delta, or other high level places. I really like mystic but i also like cleric too. I wanna keep playin mystic but i dont wanna spend time on a class thats not gonna be wanted in the future. Should i stick to mystic or would it be better (party wise) to roll a cleric?
Post edited by zyndrix on


  • HardTimes - Lost City
    HardTimes - Lost City Posts: 52 Arc User
    edited March 2012
    Well i'm just going to put this out there, if you enjoy playing a mystic then you should keep doing so. Or you can play a cleric if you like it more. It honesty comes down to what class you enjoy the most.

    I love my mystic and i really don't have a problem finding a squad for anything. even tho I don't see anyone looking for a mystic in world chat. I still pm anyone looking for a healer or DD. its more rare to be turned down from squad then not. Just know your class well and what you can do and cant do.

    The same goes if you chose to play a cleric.
  • ArenaSkies - Sanctuary
    ArenaSkies - Sanctuary Posts: 86 Arc User
    edited March 2012
    People don't ask for mystics because we all play so differently. They sometimes have a hard time knowing what we're really good at lol

    It's like the person above me stated, if people don't ask for mystics, I still pm them 9/10 times and I still get picked.
    Dumbledore: Lily... after all this time?

    Snape: Always.
  • /eren - Dreamweaver227
    /eren - Dreamweaver227 Posts: 1 Arc User
    edited March 2012
    usually if i really need something i just party with factionmates bc we are all within 10 levels of each other. but in random squads i have no problem cuz i fit the role of DD so well and most people know that if they have a cleric already a mystic is a good DD who can keep that cleric standing. we boost overall squad performance so we are generally accepted just not specifically asked for. i just advertise myself as LF ____ and people pick me up. if i say Mystic LF ____ its sometimes faster and sometimes slower
  • CrusherJam - Dreamweaver
    CrusherJam - Dreamweaver Posts: 550 Arc User
    edited March 2012
    Mystic Rules. my real fast story is as follows. I came in slightly after

    Mystic/Seekers were added. I made a Cleric because i dig the healer role and

    A Barb because i thought tanking would rock. Basically the Cleric got boring fast at about

    lvl 44 from strictly questing and at the time on Dreamwever Venos were all the rage.

    it was about farming and how good you can farm blah blah blah. Well i rolled a Mystic

    thinking that there similar and yes you can be a male. I hated it for the first week and

    retired it until the very first flyer sale, lets say from then i actively used my Mystic

    when i got bored or irritated on my barb. You are a good healer, you can heal Veno Pets.

    And you can DD. Now. that my mystic is almost 95 i regularly duel

    (haven't pked much) @ north Arch and can beat some of the best of them higher level or

/*
1.
12
Lattice="-5.931 -1.965 -4.283 -0.463 -0.414 7.550 -0.323 7.724 -0.863" Properties=species:S:1:pos:R:3 comment="PBE Ce3DyHo2Te6, optimized geometry" raw_formation_energy_mev_per_atom=-1326 dos_ef_per_ev_fu=22.53 energy_ry_per_atom=-0.406 m_tot_mub_per_atom=0.297 spacegroup="No. 12" pbc="T T T"
Ce -1.532 3.191 5.154
Ce -5.185 2.155 -2.750
Ce -3.359 2.673 1.202
Dy 0.000 0.000 0.000
Ho -2.285 -0.931 3.606
Ho -4.109 -1.448 -0.340
Te -5.979 3.836 -0.174
Te -4.838 0.060 2.228
Te -0.739 1.509 2.578
Te -4.150 4.354 3.782
Te -1.879 5.285 0.176
Te -2.567 0.991 -1.378

***

2.
4
Lattice="3.541 0.000 0.000 -1.770 3.067 0.000 -1.775 -1.022 11.357" Properties=species:S:1:pos:R:3 comment="PBE CeDyHoTh, optimized geometry" e_form_ev_per_atom=0.026 e_above_lowest_polymorph_ev_per_atom=0.000 dos_ef_per_ev_fu=7.87 energy_ry_per_atom=-0.412 m_tot_mub_per_atom=0.011 spacegroup="No. 160" pbc="T T T"
Ce -1.442 0.799 9.882
Dy 2.104 0.797 4.154
Ho 0.333 -0.223 7.038
Th -1.435 2.842 1.294

***

3.
12
Lattice="-1.263 -4.986 -3.296 -0.361 -0.196 6.095 -10.515 4.895 -1.488" Properties=species:S:1:pos:R:3 comment="PBE Ce2Dy6Ho3Th, optimized geometry" e_form_ev_per_atom=0.043 dos_ef_per_ev_fu=21.94 energy_ry_per_atom=-0.368 m_tot_mub_per_atom=0.100 spacegroup="No. 12" pbc="T T T"
Ce -0.662 -1.793 2.965
Ce -0.962 -3.390 -0.166
Dy -9.279 -1.004 -0.578
Dy -3.823 -2.678 1.733
Dy -2.860 0.717 1.890
Dy -8.979 0.588 2.543
Dy -8.316 2.391 -0.422
Dy -3.160 -0.875 -1.232
Ho -5.769 1.453 3.785
Ho -6.370 -1.740 -2.473
Ho -6.070 -0.144 0.656
Th 0.000 0.000 0.000

***

4.
12
Lattice="6.103 0.000 0.001 -3.051 5.286 0.001 -1.021 -1.768 11.483" Properties=species:S:1:pos:R:3 comment="PBE Ce2Dy3Ho6Th, optimized geometry" e_form_ev_per_atom=0.041 dos_ef_per_ev_fu=21.52 energy_ry_per_atom=-0.368 m_tot_mub_per_atom=0.100 spacegroup="No. 12" pbc="T T T"
Ce 0.000 3.524 0.001
Ce 3.052 1.761 0.001
Dy -2.035 3.521 5.743
Dy 4.066 -0.003 5.743
Dy 1.016 1.759 5.743
Ho 3.045 1.760 8.647
Ho 2.039 3.531 2.839
Ho -1.013 1.758 2.839
Ho 0.003 3.517 8.647
Ho -0.007 -0.013 8.647
Ho 2.029 0.001 2.839
Th 0.000 0.000 0.000

***

5.
4
Lattice="5.639 0.000 0.000 2.820 4.884 0.000 2.820 1.628 4.605" Properties=species:S:1:pos:R:3 comment="PBE CeDyHoTh, optimized geometry" e_form_ev_per_atom=0.226 e_above_lowest_polymorph_ev_per_atom=0.201 dos_ef_per_ev_fu=11.81 energy_ry_per_atom=-0.397 m_tot_mub_per_atom=0.672 spacegroup="No. 216" pbc="T T T"
Ce 2.820 1.628 1.151
Ho 8.459 4.884 3.453
Th 5.639 3.256 2.302
Dy 0.000 0.000 0.000

***

6.
8
Lattice="5.437 0.000 0.000 2.719 4.709 0.000 2.719 1.570 8.892" Properties=species:S:1:pos:R:3 comment="PBE Ce2DyHoTl4, optimized geometry" e_form_ev_per_atom=-0.276 dos_ef_per_ev_fu=18.12 energy_ry_per_atom=-0.301 m_tot_mub_per_atom=0.270 spacegroup="No. 166" pbc="T T T"
Ce 8.156 4.709 6.675
Ce 2.719 1.570 2.216
Dy 5.437 3.139 4.446
Ho 0.000 0.000 0.000
Tl 5.437 3.139 7.781
Tl 8.156 4.709 3.334
Tl 2.719 1.570 5.558
Tl 5.437 3.139 1.110

***

7.
12
*/

    not :-)Sadly i can admit that a Mystic is a Barb killer, i get a sick joy on destroying barbs

    up to level 100.

    On DW there is a Healer shortage, i mean no Clerics or Mystics around for BH's and Fc's

    since the new expansion was put in. i NEVER have a problem getting a random squad but

    sadly i am usually the Healer role if i go. Still fun though
    19k Hp and rising my goal is 20k unbuffed (would love 25k )
  • Nine_Lives - Raging Tide
    Nine_Lives - Raging Tide Posts: 182 Arc User
    edited March 2012
    what did i like about my experience as a myst...

    can still solo some minibosses like my veno.

    heals faster than a cleric.

    look ma, no pet cages!

    pets with free stunb:victory (sorry i'm talking at a veno's standpoint...should be summons ik)

    pets with aoe...take that hercboy!

    has both mdef and pdef debuff on the same spell at a safer range and with higher accuracy ( myriad rainbow of venos is godly only IF it procs).

    pets don't get stuck on weird places ( aw did your nix get stuck on a rock? buhbye foxyb:laugh)
  • MrMelvin - Heavens Tear
    MrMelvin - Heavens Tear Posts: 388 Arc User
    edited March 2012
    Learn to support effectively on your Mystic and people will love you, I have had people say to me "you are x10 better than a cleric" many times. As you get higher and the squads become better geared you can DD quite a lot more and just use the plants to heal so you get the best of both worlds.

    Mystics are really nice to use in all BH100 squads, sometimes it takes time to get into a squad, other times its a breeze but don't give up, I don't :)

    The best advice though is play the class you enjoy most, if its your Mystic then play your Mystic but learn the class instead of just Power leveling. This will help you make friends, get into a decent faction and make it even easier to get into end game squads.

    Player skill is greater than cash shopped levels.
  • Xainou - Sanctuary
    Xainou - Sanctuary Posts: 5,369 Arc User
    edited March 2012


    No seriously, I'm loving the class. Kicking butts with nice damage while being able to cast a lightning fast heal? What's not to love? :3

    Only downside is that people give you **** sometimes because they don't know what mystics can do. But hey, the fun outweighs it :D

    Licensed tail brusher of ƙɑƙʊɱɑʊ ~ only the fluffiest
    Outrunning centaurs since 2012~
  • Vixter - Harshlands
    Vixter - Harshlands Posts: 1,275 Arc User
    edited March 2012
    as for wanted in high lvl places ...

    well fc, when i was in my 90s, i was wanted as a healer. if people just take the time to see a good mystic at work, you dont need a cleric for this instance

    delta - um, cragglord deals 20k AOE dmg with his skills, why not? xD i get in BH deltas very easily.

    we get in caster nirvana easily

    i dont really see a mystic having a problem getting into squads
    vixter (101 Heavy Veno) ~ TT farmer
    Peachie (102 Mystic) ~ Main character
  • Brillance - Raging Tide
    Brillance - Raging Tide Posts: 1,643 Arc User
    edited March 2012
    Best char of ANY MMO I have played. If you like being active and constantly switching your game play up you will love a Mystic.

    Its a double edged sword for getting squads.

    1. Its basicly a new character, and people are not used to working with it. A mystic will not be the first choice in anyone's mind until you are ready to do Caster's and higher level FC runs. Mindsets keep the barb, BM & Cleric as their top three squad choices as always has been in this game. New chars have to show everyone else what they are capable of. You can look at that as paying your dues for having made a 'new skool' character in the first place.

    2. Some people play their Mystic very well, while others are basicly content to play a second-string healer.

    I think as far as healing alone goes - nothing beats a cleric. But a Mystic will look 10x better than the cleric when a cleric is there to be a primary healer. We look good because the responsibility of keeping our eyes glued to health bars is off our shoulders, and we can have the full joy of combining heal support and DD support in the squad.

    I dont think the Mystic character can play any single role better than the original. To me, best tank is HP barb and always will be. Best healer is cleric. Etc.

    But as a stand alone character, with access to almost every role in the game but at a slightly lesser degree - Mystics rock! b:victory
  • Mekkhala - Lost City
    Mekkhala - Lost City Posts: 303 Arc User
    edited March 2012
    My experience has been frustrating and good at the same time. Not because of the class, but because of the people's attitudes towards the class.

    Usually when I'm in a squad I become a healer, even if there is an ep in squad. As my main is a cleric, I understand wanting to relax and DD a bit, but it's a bit rude to switch to VD without asking the mystic if they mind taking over the healer role.

    Other than that pet peeve it's ok. GV squads will love you, and Caster squads will always let a mystic in.

    Will it ever become my main? No. But it's a fun class to play and explore.
  • XaanhaaI - Momaganon
    XaanhaaI - Momaganon Posts: 26 Arc User
    edited March 2012
    Like some others might say.. Frustrating when hitting lvl 70.
    But now when i have reached lvl 100 as mystic b:surrender

    Bring it on monsters b:victory
    Solo TT, Most bh's, bosses.. It just eat a lot mana!!

    In the start when mystic was introduced.. There was almost Mystic witchhunt on server..

    People refused to take mystics with them in squad.. I even got blamed for not being able to keep cragglord alive for more than 20 secs.
    But now people can't survive without us. We don't need cleric in bh SoT and no cleric in fc squads if barb trust mystic.

    I'm happy to be playing on my R8 Mystic 100% farmed b:pleased